Sunday, January 31, 2016

German Butter Potatoes

The main part of my LOVE for vegetables is eating them.  Nothing tastes better than a perfectly vine-ripened tomato still warm from the sun, or fresh greens when the snow has barely left the ground.
My greatest love in the world of potatoes is the German Butter.  I like potatoes generally, but the German Butter (Sieglinde) is in a class of it's own.  Similar to a Yukon Gold in terms of looks, but these waxy yellow orbs are FREAKING DELICIOUS.  So delicious I lust after them.

I first encountered this potato while working at Blush Lane in Calgary.  We received bags of potatoes through a produce distributor in BC from Across the Creek Organics in Pemberton, BC-- a region well-known for growing fantastic potatoes!



  1. the complete natural environment in which a particular product is produced, including factors such as the soil, topography, and climate.
    • the characteristic taste and flavor imparted to a product by the environment in which it is produced.
Potatoes spend their whole life until harvest in the soil, which means the flavour of a certain spud can vary by region.  So, when sourcing those "best potatoes I've ever had", I started with the same farm they came from.  Chances are, the terroir in Pemberton is part of why I loved these so much.  So, I make no promises that I can produce the same delectable tubers as they do, but getting seed from them is a start at least!  We'll see what the Manitoba terroir does to them-- I am hopeful, as this is also a relatively good potato growing region!
Currently looking into shipping, seed cost & freight will be high and so that will be passed on to you as a customer in the final product... If I don't eat them all myself!

If we do have these available later this season I would love to share them with you!  Will keep you posted.  :)

Between two parts of the piece: calculated molecules.
┌──
(1)
The following is a quantum chemistry calculation of 12 unconnected molecules or ions with the total composition C4H35N3O11 in a non-equilibrium geometry, from OMol25.

Positions of all 53 atoms, in Å:
C  2.15236  0.69345  0.41910
C  2.55414  1.31960  1.77949
C  1.22302  1.58962  2.65179
N  0.68524  0.32713  3.02175
N  0.76515  0.97257  0.07576
C  0.56002  1.20828  -1.38672
N  -0.72856  1.96733  -1.57609
H  2.43048  -0.42358  0.46796
H  2.74642  1.02368  -0.42035
H  3.18439  2.21357  1.66991
H  3.09890  0.63887  2.42828
H  0.65935  2.32526  2.11317
H  1.42047  2.23264  3.55938
H  -0.06206  0.14750  2.34051
H  0.35533  0.33514  3.96481
H  0.16183  0.19932  0.35436
H  1.39852  1.82950  -1.72270
H  0.50925  0.31749  -2.01822
H  -0.57483  2.94562  -1.75690
H  -1.18214  1.86373  -0.68625
H  -2.70310  -0.70876  -0.48305
H  -3.31690  -0.23110  0.95022
O  -2.77369  -0.02847  0.19372
H  1.59934  3.35511  0.33604
H  2.82208  4.07856  -0.52602
O  2.14850  4.16637  0.15115
H  -1.50362  2.74853  0.62960
H  -2.99393  2.92426  0.40385
O  -2.29077  3.09615  1.06040
H  0.74293  -2.66601  1.04815
H  1.89492  -3.56040  0.68553
O  1.15816  -3.09256  0.28399
H  -1.69267  -2.26126  -3.27738
H  -2.16601  -0.88805  -3.60968
O  -2.49365  -1.69313  -3.19866
H  1.59733  -1.39638  2.32512
H  2.63008  -2.13516  3.18934
O  2.25276  -2.11604  2.30611
H  -2.69720  1.43710  -2.17319
H  -3.94328  1.25165  -1.24615
O  -3.57803  1.74720  -1.98160
H  0.48943  -2.41237  -4.09302
H  0.87374  -1.63681  -2.85886
O  0.10014  -1.90372  -3.37938
H  3.10417  -1.51859  -2.01688
H  1.83413  -2.21899  -1.27876
O  2.31587  -2.04686  -2.08995
H  -1.78960  -1.61300  3.05807
H  -1.79034  -2.37794  1.67336
O  -1.25977  -2.16026  2.47682
H  -1.47476  -2.31459  -0.98462
H  -0.78385  -3.13671  0.10245
O  -1.56829  -2.58241  -0.06644

Cartesian forces (eV/Å) of the 6 atoms listed first:
0.7 -0.1 0.8
-0.6 0.6 1.4
3.3 1.2 1.0
-1.1 0.4 -1.7
1.3 -2.8 -2.8
-0.9 2.4 -0.2

The total charge is +1. The value obtained for the HOMO-LUMO gap (spin up / spin down) is 10.643 / 4.754 eV. Its spin multiplicity is 2.

(2)
The following is a quantum chemistry calculation of 2 unconnected molecules or ions with the total composition C7H9N in a non-equilibrium geometry, from OMol25.

Positions of all 17 atoms, in Å:
C  -1.37202  -1.03123  -0.72171
C  -0.61645  -1.87388  0.04876
C  -0.56706  -1.33537  1.35473
C  -0.82879  0.04242  1.63522
C  -1.38952  0.76629  0.67354
C  2.97298  1.98849  -0.61493
C  2.89976  0.93084  -1.55092
H  -1.50402  -1.24905  -1.82958
H  -0.37027  -2.90208  -0.28626
H  -0.32897  -2.01644  2.24135
H  -0.90821  0.13605  2.82346
H  -1.82194  1.94634  0.46863
H  2.16924  2.64885  -0.78962
H  3.35487  1.98598  0.34726
H  2.08883  0.86276  -2.45105
H  3.47780  0.12736  -1.58821
N  -1.82154  0.21926  -0.55488

Cartesian forces (eV/Å) of the 6 atoms listed first:
-0.4 0.9 -5.2
-0.8 0.6 2.4
1.0 -1.4 0.7
0.0 -3.4 4.6
-4.3 4.5 -5.3
-2.3 -4.1 -4.6
└──
End of the calculated molecules.

Wednesday, January 27, 2016


Okay, this may not seem like a big deal to most, but...
CHECK IT OUT!!  There are soap bubbles!
This has never happened before at our house.  I even had a shower this morning and instead of uselessly rubbing shampoo all over my head I got bubbles!!
So, why is this out of the ordinary?  Those of you who live somewhere that you can drill a well and be set don't know how lucky you are.  Where we are, the water directly from the well is HARD and often smelly, discoloured, or otherwise unsavory.
Our water has high iron content and was relatively hard (48 of whatever units they use to measure... Mom and Dad's was 220!).  We had a softener, but it wasn't working.  Mom and Dad just got onto town water and so gave us their softener, which is way more than we would need, but they are happy to see it go to a good home where it can be used.  The local Well Wizard Don and my Dad got everything up and running, with the rust filter set to be operational tomorrow.  This is our basement set up, minus the second tank for the rust filter (far left) that is still needed to hook it up.  All stocked up on salt and now we're cooking with gas!
Take that, dirty dishes & people & clothes!
Thanks to Dad & Don for getting it all fixed up! 

Attached: data records =
-- begin --
95
Properties=species:S:1:pos:R:3 method="wB97M-V/def2-TZVPD" gap_ev="7.8 / 6.2" relative_energy_kcal_mol=14.94 energy_ev=-47664.3071 multiplicity=2 e_homo_ha="-0.3915 / -0.3916" charge=+1 largest_force_ha_per_bohr=0.04499
Ir -0.0575 -0.6080 -0.4452
C -1.9121 -1.3740 -0.9259
C -1.8749 0.0576 -1.3784
C -0.8558 0.1560 -2.3483
C -0.2150 -1.1407 -2.4127
C -0.9258 -2.1024 -1.7057
C -0.7660 -3.6019 -1.8112
C 0.6837 -4.0434 -2.0388
C -1.3798 -4.3060 -0.6021
C -1.5712 -3.9800 -3.0712
C -0.3685 1.2897 -3.2723
C 0.6920 0.7480 -4.2470
C -1.5393 1.7965 -4.1251
C 0.2830 2.4677 -2.5440
C -3.0641 0.9247 -0.9710
C -3.7038 0.3969 0.3203
C -4.1344 0.8159 -2.0711
C -2.6940 2.3902 -0.7242
H -2.6779 -1.8464 -0.3372
H 0.6417 -1.3583 -3.0290
H 1.3412 -3.7392 -1.2310
H 1.0725 -3.6420 -2.9787
H 0.7111 -5.1315 -2.1207
H -0.9036 -3.9998 0.3291
H -1.2516 -5.3842 -0.7116
H -2.4541 -4.1156 -0.5332
H -1.1643 -3.4980 -3.9627
H -2.6245 -3.7023 -2.9784
H -1.5202 -5.0603 -3.2186
H 0.3288 -0.0977 -4.8357
H 1.6068 0.4511 -3.7299
H 0.9524 1.5434 -4.9453
H -2.0415 0.9814 -4.6522
H -1.1477 2.4831 -4.8773
H -2.2816 2.3362 -3.5421
H 1.1640 2.1271 -2.0016
H -0.3950 2.9737 -1.8547
H 0.6112 3.1964 -3.2888
H -4.1760 -0.5770 0.1897
H -4.4832 1.0905 0.6376
H -2.9676 0.3303 1.1225
H -4.4542 -0.2222 -2.1948
H -3.7939 1.1800 -3.0358
H -5.0106 1.3991 -1.7792
H -1.9246 2.4844 0.0470
H -3.5801 2.9279 -0.3813
H -2.3382 2.8979 -1.6203
C 4.0949 1.1779 -0.4024
C 3.0444 0.1284 -0.1768
O 1.9904 0.2451 -0.8303
C 3.2748 -0.9662 0.7237
C 4.4795 -1.0164 1.4569
C 4.7923 -2.0824 2.2583
C 3.8936 -3.1531 2.3299
C 2.7108 -3.1378 1.6317
C 2.3566 -2.0335 0.8207
O 1.2154 -2.1188 0.1807
H 3.7228 1.8973 -1.1269
H 5.0302 0.7439 -0.7590
H 4.3065 1.6860 0.5413
H 5.1783 -0.1934 1.3745
H 5.7209 -2.1040 2.8121
H 4.1282 -4.0097 2.9508
H 2.0191 -3.9685 1.6884
C 0.3285 3.8663 4.7978
C 0.4801 3.3011 3.4110
C 1.0408 4.0550 2.3828
C 1.1861 3.5247 1.1042
C 1.8067 4.3452 0.0041
C 0.7424 2.2369 0.8639
C 0.1693 1.4312 1.8679
C 0.0651 2.0044 3.1545
N -0.2178 0.1266 1.5176
C -0.6001 -0.8020 2.6569
C 0.6424 -1.0488 3.5343
C -1.0465 -2.1835 2.1747
C -1.8440 -0.2951 3.4303
H 0.7116 4.8841 4.8560
H 0.8702 3.2639 5.5297
H -0.7191 3.8862 5.1024
H 1.3799 5.0656 2.5862
H 2.5880 4.9975 0.3955
H 1.0614 4.9844 -0.4774
H 2.2465 3.7163 -0.7694
H 0.8558 1.8319 -0.1246
H -0.3289 1.4622 3.9927
H 1.4662 -1.4099 2.9183
H 0.3990 -1.8388 4.2477
H 0.9975 -0.1926 4.0972
H -0.2396 -2.7860 1.7708
H -1.8409 -2.1125 1.4338
H -1.4578 -2.6930 3.0488
H -1.9280 0.7714 3.6010
H -1.8592 -0.7985 4.3991
H -2.7495 -0.6035 2.9063



90
Properties=species:S:1:pos:R:3 method="wB97M-V/def2-TZVPD" gap_ev=9.4 relative_energy_kcal_mol=91.46 energy_ev=-42182.8318 multiplicity=1 e_homo_ha=-0.3420 charge=0 smiles=CCO.CCO.CCO.CCO.CCO.CCO.CCO.CCO.CCO.CCO largest_force_ha_per_bohr=0.04985
C -3.2928 -1.7457 1.9965
C -2.8557 -0.5818 2.9224
O -4.0079 -0.4050 3.7271
H -3.4599 -2.6768 2.5379
H -2.5035 -1.8070 1.2474
H -4.2003 -1.6225 1.4054
H -2.5699 0.3414 2.4183
-- stop --

Tuesday, January 5, 2016

Simply NOT in Season Soup...

Calculated molecules, kept here for reference.
(1)
The following is a quantum chemistry calculation of the molecule C3H5FS in a non-equilibrium geometry, from the Open Molecules 2025 dataset.

Geometry as XYZ:
```
10
Properties=species:S:1:pos:R:3:forces:R:3
C -1.118 0.823 -0.314 -1.94 3.52 -0.43
C -0.662 -0.342 0.026 0.85 -0.34 1.27
F -1.180 -1.500 -0.340 -0.11 -0.73 -0.41
C 0.645 -0.383 0.788 -0.46 -0.96 0.45
S 1.932 -0.335 -0.399 2.06 -0.19 -2.89
H -1.983 1.168 -0.980 1.31 -1.25 1.04
H -0.646 1.680 0.234 -0.34 -0.84 -0.91
H 0.935 -1.326 1.385 -1.27 1.74 -0.35
H 0.768 0.608 1.255 -0.33 -0.98 0.70
H 1.308 -0.392 -1.654 0.23 0.04 1.53
```
Forces are in eV/Å.

**Multiplicity**: 1
**HOMO energy**: -9.022 eV
**LUMO energy**: 0.034 hartree
**Gap between HOMO and LUMO**: 9.95 eV
**SMILES**: C=C(F)CS

How positive or negative is each atom? The Löwdin charges in e answer that:
1. C 0.04
2. C -0.52
3. F 0.08
4. C -0.54
5. S 0.69
6. H 0.10
7. H 0.08
8. H 0.10
9. H 0.06
10. H -0.08


(2)
The following is a quantum chemistry calculation of a cluster of 12 separate species, C63H105F15N12O15PS5 in total in a non-equilibrium geometry, from the Open Molecules 2025 dataset.

Geometry as XYZ:
```
216
Properties=species:S:1:pos:R:3:forces:R:3
C 2.831 -3.135 -11.802 0.23 0.48 0.92
C 2.040 -4.140 -10.937 1.33 0.49 0.29
N 0.883 -4.644 -11.645 -0.19 0.42 0.77
C 0.771 -5.686 -12.510 -0.43 -0.06 -0.73
C -0.508 -5.689 -12.943 -2.00 -0.41 -0.69
N -1.181 -4.588 -12.310 0.57 -1.41 -1.34
C -0.283 -4.017 -11.517 -0.56 1.11 -0.38
C -2.540 -4.029 -12.587 0.55 -0.38 1.25
H 2.628 -2.072 -11.501 0.12 -1.10 -0.58
H 2.598 -3.353 -12.807 -0.77 0.37 -1.42
H 3.905 -3.303 -11.853 0.13 0.00 0.83
H 1.588 -3.610 -10.109 0.45 -0.12 0.45
H 2.702 -4.957 -10.584 -0.75 0.31 -0.17
H 1.601 -6.269 -12.874 0.00 -0.11 0.37
H -1.023 -6.448 -13.617 0.72 1.52 1.03
H -0.453 -3.067 -10.947 0.29 -1.17 -0.36
H -2.871 -4.114 -13.607 0.73 0.38 -0.69
H -2.527 -3.007 -12.174 -0.25 -0.47 -0.48
H -3.274 -4.638 -12.081 -0.12 -0.06 0.67
C 9.276 4.173 1.166 -0.45 -2.10 -0.65
C 8.432 3.428 0.103 0.29 -0.03 1.04
N 9.092 2.095 -0.081 -1.01 -2.42 -0.63
C 10.190 1.901 -0.873 1.09 2.43 -0.57
C 10.411 0.615 -1.114 -0.66 -2.32 -0.01
N 9.357 -0.075 -0.441 1.36 -0.23 -0.12
C 8.607 0.842 0.126 -1.81 1.89 0.81
C 9.268 -1.578 -0.378 0.33 1.07 -2.71
H 9.034 5.189 1.205 -0.50 1.54 0.20
H 10.279 4.076 0.775 0.56 0.20 0.40
H 9.193 3.691 2.144 0.06 0.21 -0.14
H 8.618 3.899 -0.831 -0.07 0.56 -0.91
H 7.322 3.395 0.233 1.02 -0.61 0.25
H 10.716 2.775 -1.245 0.05 -0.36 0.03
H 11.086 0.042 -1.778 -0.36 0.77 0.80
H 7.607 0.765 0.567 0.70 -0.57 0.08
H 9.790 -1.856 -1.358 -0.88 -0.09 1.46
H 8.216 -1.851 -0.440 0.15 -0.11 0.17
H 9.793 -2.040 0.439 0.09 0.28 0.48
C -0.499 6.866 2.047 0.36 2.06 0.66
C -0.880 5.620 1.334 -0.10 -2.05 -1.26
N -2.086 5.844 0.457 1.07 -1.32 2.30
C -2.269 6.899 -0.350 1.51 0.62 -0.42
C -3.552 6.880 -0.668 -2.05 1.22 -0.92
N -4.183 5.880 0.038 0.52 0.52 -1.83
C -3.235 5.213 0.665 0.45 -1.46 1.63
C -5.628 5.738 -0.013 -0.64 -0.92 -0.77
Back to the text.

We've been away for over 2 weeks, which has brought to my attention how hyper seasonally we eat at home.  Jon and I have lots of dietary preferences, mostly around avoiding GMOs, eating local, and buying from small farmers.  Jon bakes all of our bread at home with organic flour from DeRuyck's Top of the Hill Farm, we trade veggies with Henry Meat's (5 miles from our house) for all of our meat, and we eat only our own produce, other than the occasional lemon, avocado, mushrooms, or ginger.  So, we eat a lot of potatoes, squash, carrots, leeks, and beets in the winter.  Oh, beets.

However, if there's one thing either of us detest more it's purists.  We're "go with the flow" kind of people.  We've been known to purchase food through a magic window on road trips, and I would never complain about anything that's put in front of me.  I actually often enjoy the change, and sometimes think of it as reinforcement for how much better our seasonal produce is (you eat an imported hothouse tomato in January and tell me local & seasonal doesn't make a difference!!).  Plus, it's good to keep tabs on the competition, and sometimes we can get to local Farmer's Markets and try something new.  I know that the average person doesn't eat like us.  I get it.  When you don't grow your own food, what's the difference in January between buying a zucchini at the store or buying carrots from us?  We do the best we can, but it's not always convenient for everyone to order once a week and sometimes you run out.  The store is open all the time-- the conveniences of modern life!

  Because we are fortunate enough to grow our own food-- and perhaps because we are pretty frugal, too-- we eat what's available when it's available, preserve or freeze what we can for variety, and look forward to the spring, especially by the time we hit March.

I made a squash soup in Seattle with a blue kuri from the Farmer's Market which turned out great-- We don't grow that variety, and so it was nice for a change.  We also don't grow delicata, one of Jon's favourite squash, so we bought some of those.  I realized how much I miss zucchini & broccoli when Stacey made tempura for us.  We enjoyed some local pea shoots, but thought ours were better.  So, today, when asked to make soup for tonight, I opened up the possibilities.   I knew that Alyson had a copy of Simply in Season, my favourite cookbook, and so I "cheated" and picked a soup from the "summer" section.  Southwestern Corn Chowder it is!
 Having already checked my favourite produce department in town and being somewhat disappointed with the quality and carbon footprint of the veggies, and knowing that the Farmer's Market is closed today (and that if they were any kind of market they wouldn't have what I needed anyhow) we went to the Safeway where I worked for 5 years-- Only after picking up a free range bone-in chicken breast at the market in Inglewood, on an unrelated quest for the best spices ever at the Silk Road Spice Merchant.  I'll eat industrial meat without batting an eye, but it's hard to wrap my head around buying it when there are other options.

I was disappointed that the red pepper was from SPAIN, and there was no organic frozen corn (and even more so, the jolly green man touted the "naturalness" of the corn I bought, which SHOULD be labelled GMO, because it in all likelihood is-- Canada needs to get up to speed with it's labelling).  But what can you do?  Someone worked hard to produce that food, and despite it not being exactly what I want, it's still whole foods cooked from scratch.  It's not always possible to be perfect, which is why I felt compelled to write this today.  We all do the best we can, and that's all we can do!

I didn't follow this recipe-- I rarely do!  I used it as a starting point, but used the bones, fat, and skin from the double chicken breast and cilantro stems to make a gorgeous stock (the only real secret to making great soup in my opinion).  Decided it needed more substance and so added the chicken breast cubes and a sweet potato.  Skipped the tomato because tomatoes at this time of year are worth skipping.  I did follow the directions as far as pureeing some of the corn and sweet potatoes which made the pot a bit more cohesive.  This is being served with grilled shrimp skewers and a mango cilantro salad that Dion and Alyson made last night.  It's all going to be delicious, and who cares if I fell off the "locavore" wagon?  I think that conscious and informed consumption is more important than a bunch of self-imposed dietary restrictions: and to be honest, I DO get tired of beets.  Can't wait to make this again in the summer!